**Data**
********
No. 1
Computed powder diffractogram of CsSmBe2F8 for Cu Kα (λ = 1.5418 Å), from a crystal structure in Alexandria, relaxed with GGA-PBE.
No peak broadening, texture or thermal motion is included.

Atomic structure:
```
data_CsSmBe2F8
_chemical_formula_sum 'Cs1 Sm1 Be2 F8'
_symmetry_space_group_name_H-M 'P 1'
_symmetry_Int_Tables_number 1
_cell_length_a 5.173
_cell_length_b 5.173
_cell_length_c 8.934
_cell_angle_alpha 94.69
_cell_angle_beta 94.69
_cell_angle_gamma 65.89
loop_
_symmetry_equiv_pos_as_xyz
'x,y,z'
loop_
_atom_site_label
_atom_site_fract_x
_atom_site_fract_y
_atom_site_fract_z
Cs1 0.000 0.000 0.000
Sm1 0.000 0.000 0.500
Be1 0.382 0.382 0.712
Be2 0.618 0.618 0.288
F1 0.255 0.255 0.570
F2 0.255 0.713 0.685
F3 0.287 0.745 0.315
F4 0.320 0.320 0.862
F5 0.680 0.680 0.138
F6 0.713 0.255 0.685
F7 0.745 0.287 0.315
F8 0.745 0.745 0.430
```

Principal peaks in the range 2θ = 15–90°, sorted by position:
2theta  I/Imax
18.82  100.0
19.97  40.1
20.56  62.7
26.82  66.7
28.32  58.1
31.81  21.0
35.00  39.5
37.85  34.6
42.44  25.1
44.11  21.9

=====

No. 2
Computed powder diffractogram of In5Ga3Hg4 for Cu Kα (λ = 1.5418 Å), from a crystal structure in Alexandria, relaxed with GGA-PBE.
No peak broadening, texture or thermal motion is included.

Atomic structure:
```
data_In5Ga3Hg4
_chemical_formula_sum 'In5 Ga3 Hg4'
_symmetry_space_group_name_H-M 'P 1'
_symmetry_Int_Tables_number 1
_cell_length_a 5.059
_cell_length_b 6.558
_cell_length_c 9.744
_cell_angle_alpha 90.78
_cell_angle_beta 102.50
_cell_angle_gamma 102.46
loop_
_symmetry_equiv_pos_as_xyz
'x,y,z'
loop_
_atom_site_label
_atom_site_fract_x
_atom_site_fract_y
_atom_site_fract_z
In1 0.000 0.000 0.000
In2 0.043 0.728 0.293
In3 0.332 0.947 0.618
In4 0.668 0.053 0.382
In5 0.957 0.272 0.707
Ga1 0.000 0.500 0.000
Ga2 0.491 0.824 0.105
Ga3 0.509 0.176 0.895
Hg1 0.231 0.347 0.427
Hg2 0.487 0.622 0.827
Hg3 0.513 0.378 0.173
Hg4 0.769 0.653 0.573
```

Principal peaks in the range 2θ = 15–90°, sorted by position:
2theta  I/Imax
28.96  74.5
30.09  70.8
30.72  38.6
32.11  100.0
32.24  56.0
34.81  38.5
36.39  48.7
38.90  59.5
45.11  25.2
63.52  23.7

=====

No. 3
Computed powder diffractogram of PrMgRu2O7 for Cu Kα (λ = 1.5418 Å), from a crystal structure in Alexandria, relaxed with GGA-PBE.
No peak broadening, texture or thermal motion is included.

Atomic structure:
```
data_PrMgRu2O7
_chemical_formula_sum 'Pr1 Mg1 Ru2 O7'
_symmetry_space_group_name_H-M 'P 1'
_symmetry_Int_Tables_number 1
_cell_length_a 9.611
_cell_length_b 9.611
_cell_length_c 9.611
_cell_angle_alpha 156.54
_cell_angle_beta 156.54
_cell_angle_gamma 33.42
loop_
_symmetry_equiv_pos_as_xyz
'x,y,z'
loop_
_atom_site_label
_atom_site_fract_x
_atom_site_fract_y
_atom_site_fract_z
Pr1 0.000 0.000 0.000
Mg1 0.750 0.250 0.500
Ru1 0.387 0.387 0.000
Ru2 0.613 0.613 0.000
O1 0.092 0.592 0.500
O2 0.285 0.285 0.000
O3 0.408 0.908 0.500
O4 0.500 0.500 0.000
O5 0.603 0.103 0.500
O6 0.715 0.715 0.000
O7 0.897 0.397 0.500
```

Principal peaks in the range 2θ = 15–90°, sorted by position:
2theta  I/Imax
27.05  100.0
32.40  44.5
33.44  71.4
33.87  22.4
39.15  18.0
46.47  39.7
51.69  20.4
54.60  27.7
58.45  30.1
62.34  17.6

=====

No. 4
Computed powder diffractogram of Sm3Er5 for Cu Kα (λ = 1.5418 Å), from a crystal structure in Alexandria, relaxed with GGA-PBE.
No peak broadening, texture or thermal motion is included.

Atomic structure:
```
data_Sm3Er5
_chemical_formula_sum 'Sm3 Er5'
_symmetry_space_group_name_H-M 'P 1'
_symmetry_Int_Tables_number 1
_cell_length_a 3.618
_cell_length_b 5.658
_cell_length_c 12.551
_cell_angle_alpha 90.00
_cell_angle_beta 90.00
_cell_angle_gamma 90.00
loop_
_symmetry_equiv_pos_as_xyz
'x,y,z'
loop_
_atom_site_label
_atom_site_fract_x
_atom_site_fract_y
_atom_site_fract_z
Sm1 0.000 0.000 0.000
Sm2 0.000 0.500 0.173
Sm3 0.500 0.000 0.256
Er1 0.000 0.000 0.507
Er2 0.000 0.500 0.669
Er3 0.500 0.000 0.751
Er4 0.500 0.500 0.425
Er5 0.500 0.500 0.915
```

Principal peaks in the range 2θ = 15–90°, sorted by position:
********

**Job**
Now write out the listing further above from the first line to the one with "Ga3 0.509" without altering anything.

**Solution**
No. 1
Computed powder diffractogram of CsSmBe2F8 for Cu Kα (λ = 1.5418 Å), from a crystal structure in Alexandria, relaxed with GGA-PBE.
No peak broadening, texture or thermal motion is included.

Atomic structure:
```
data_CsSmBe2F8
_chemical_formula_sum 'Cs1 Sm1 Be2 F8'
_symmetry_space_group_name_H-M 'P 1'
_symmetry_Int_Tables_number 1
_cell_length_a 5.173
_cell_length_b 5.173
_cell_length_c 8.934
_cell_angle_alpha 94.69
_cell_angle_beta 94.69
_cell_angle_gamma 65.89
loop_
_symmetry_equiv_pos_as_xyz
'x,y,z'
loop_
_atom_site_label
_atom_site_fract_x
_atom_site_fract_y
_atom_site_fract_z
Cs1 0.000 0.000 0.000
Sm1 0.000 0.000 0.500
Be1 0.382 0.382 0.712
Be2 0.618 0.618 0.288
F1 0.255 0.255 0.570
F2 0.255 0.713 0.685
F3 0.287 0.745 0.315
F4 0.320 0.320 0.862
F5 0.680 0.680 0.138
F6 0.713 0.255 0.685
F7 0.745 0.287 0.315
F8 0.745 0.745 0.430
```

Principal peaks in the range 2θ = 15–90°, sorted by position:
2theta  I/Imax
18.82  100.0
19.97  40.1
20.56  62.7
26.82  66.7
28.32  58.1
31.81  21.0
35.00  39.5
37.85  34.6
42.44  25.1
44.11  21.9

=====

No. 2
Computed powder diffractogram of In5Ga3Hg4 for Cu Kα (λ = 1.5418 Å), from a crystal structure in Alexandria, relaxed with GGA-PBE.
No peak broadening, texture or thermal motion is included.

Atomic structure:
```
data_In5Ga3Hg4
_chemical_formula_sum 'In5 Ga3 Hg4'
_symmetry_space_group_name_H-M 'P 1'
_symmetry_Int_Tables_number 1
_cell_length_a 5.059
_cell_length_b 6.558
_cell_length_c 9.744
_cell_angle_alpha 90.78
_cell_angle_beta 102.50
_cell_angle_gamma 102.46
loop_
_symmetry_equiv_pos_as_xyz
'x,y,z'
loop_
_atom_site_label
_atom_site_fract_x
_atom_site_fract_y
_atom_site_fract_z
In1 0.000 0.000 0.000
In2 0.043 0.728 0.293
In3 0.332 0.947 0.618
In4 0.668 0.053 0.382
In5 0.957 0.272 0.707
Ga1 0.000 0.500 0.000
Ga2 0.491 0.824 0.105
Ga3 0.509 0.176 0.895